I had pretty much decided the night before that I wasn’t going to work out yesterday morning, but I still set my alarm for six. If I get in the habit of sleeping in, it will be that much harder to do it on the days I want to get up.
So I get out of bed, from underneath our down comforter and I was like “damn its cold!” I open our bedroom door, shut it, walk in the hallway and if it were lighter out, I swear to God you could have seen my breath. I walk to the thermostat with a flashlight, ready to bump up the heat . . . but there are no numbers. Its a digital thermometer. I turned the little nob from heat, to off, back to heat. Nothing.
So I go in the kitchen and turn the lights on and I was like “well it can’t be the thermostat because the lights are working!” Then I had the bright idea of going down and checking the furnace. As I am looking at it, I thought “WTF am I doing? I don’t know the first thing about heating systems!” There was a switch on it though and I did pause for a few minutes before deciding not.to.touch.a.thing.
So I was literally on the computer, with a hot cup of coffee and three blankets on! I decided I needed to warm up, and what better way to warm up then to get Bizzy in my kitchen!
I normally wouldn’t buy blueberries not on sale, but I was spending my Whole Foods gift card so to me, they were free. 😀
Whole Wheat Blueberry Pancakes with Lemon Zest
Course: main meals
PointsPlus™ Value: 2
Servings: 10
Preparation Time: 5 min
Cooking Time: 15 min
Level of Difficulty: Easy
Course: main meals PointsPlus™ Value: 2 Servings: 10 Preparation Time: 5 min |
1 cup(s) White Whole Wheat Flour | |
1 Tbsp sugar | |
2 tsp baking powder | |
1/2 tsp table salt | |
1 item(s) egg | |
1 cup(s) fat-free skim milk | |
1 cup(s) fresh blueberries | |
1 tsp lemon zest |
Mix flour, sugar, baking powder and salt in large bowl.
In separate bowl, mix egg and skim milk together. Stir in lemon zest.
Add milk mixutre to flour mixture. Mix just until combined, then stir in blueberries.
Using Pam, use 1/4 cup measuring spoon to cook pancakes – this batch makes 10 pancakes, or 2 points per pancake.
Now if you are looking for a sweet pancake, this isn’t it. But the sweetness of the blueberries and the 1/3 cup sugar free syrup I put on them – they were perfect. So here’s my question. I did the points for 1 pancake so you can figure out the points if you eat one or three. So I ate three – on the old program if something was 2 points, but you ate two, it would be 5 points, not 4. So while I have it in my eTools as 6 points of pancakes, not sure? With two slices of Whole Foods uncured Turkey Bacon and syrup, breakfast comes in at 10 PointsPlus.
So I ended up leaving Tony a note by the toilet “the box with the numbers on it and the thingy to move the heat on isn’t working – I didn’t know what to do!” Um, turns out our thermostat is run on batteries! One minute upon him waking up, putting 3 triple A batteries in and the heat was on – while I suffered in the cold for two hours before work! Note to self: have Tony show me how to replace the batteries! 😀
So since I wasn’t working out at lunch either, Hannah picked me up for lunch! Since she’s been off of school we have been like two ships in the night. She’s home during the day while I am at work, and she’s out with friends at night when I am home.

We both had water with lemon, and then their soup and 1/2 sandwich combo. I had the tomato soup (so good – it even was a bit chunky this time but I didn’t mind!) and then got half a California Club (no mayo) turkey breast, bacon, swiss cheese, lettuce and avocado. Now here’s where counting points becomes difficult. I ate 3/4 of the soup (4 points) and I am guessing the 1/4 of the sandwich I had was 8 – so 12 points all together. Does that seem too high or too low?

After I made my pancakes for breakfast, I still had time to put together my crock pot roast beef with potatoes and carrots. I swear I put it on for 8 hours, but about 4 in the afternoon Hannah calls me and says “it has water on the top of the lid, but its not hot.” I put the roast in completely frozen so I thought I was screwed. She turned it on high and I hoped for the best.
Here’s the weird part – the meat was cooked perfectly but the veggies were still almost raw. I ended up having to cook them on the stove for 30 minutes, but it turned out okay. 😀
I cooked the roast and veggies in beef broth, but I like to make this gravy on the side – it really should be in every pantry – and so cheap – my Dollar General sells this 2 for $1 and its only 20 calories a 1/4 cup 😀
My bowl: 4 ounces diced roast, 3 ounces potato, carrots and 1/3 cup of gravy.

Um, I may have kicked it up a notch 😀
- 31 Points (14 Flex remaining, 37 activity earned since Sunday)
- no exercise (felt really weird, but I feel great!)
- average blood sugar 112
I am going to have a great giveaway tomorrow – completely unplanned but I couldn’t say no – get your thinking caps on for your favorite lower fat dish that lets you enjoy something that used to be a once in a while treat to an every day one – think cleaner Mac N Cheese, muffins – and it doesn’t even have to be your recipe, and you don’t have to have a blog! 😀
p.s. I am off to the gym to swim 😀 Can I just say I wish it wasn’t so damn dark outside?! 😀
I am so thankful for you that batteries is all is was!
Hi Biz, what a rude no head awakening for you. brrr….
Glad you had a nice time with Hanna. Hope your swim went well and that the rest of your day is a good one.
what doesn’t taste better with tabasco?!
That sucks about the heat! Glad it was just the batteries though! Yay Tony!
Your meat looks delish (TWSS) – maybe next time try cutting the veggies smaller? I never have had that problem before. I put in the veggies on the bottom, then the meat on top, then liquid. I read somewhere that putting them on the bottom helps – so if you don’t do that, maybe try? Otherwise I have no clue!
No heat = extra snuggles!
Those pancakes look fantastic! I am a sucker for a good pancake. Ugh, I so miss beef! I am mildly allergic so I can’t eat it, but when I see good cuts like that it makes me miss it so much!! I LOVE the pic of your daughter! She is beautiful =) Oh, and totally love her piercing =) I, too, am a sucker for a cool looking piercing.
Hey Biz ~
Of course you’re welcome to do a burger for our Burger Extravaganza month in June. The more the merrier!!! You can email me if you’re interested: foododelmundogmailcom
~ Mary
I guess it took my at and dot as HTML.
That email address again: Foododelmundo at gmail dot com
At least it was only the batteries right? 🙂
Too funny about the furnace. I am with Helen, I would have woke my hubby up immediately for help!
Eating out can be tricky when it comes to figuring out the points. Sometimes you just have to give it your best guess and go easy on the eating the rest of the day.
How strange that the roast got done but not the veggies. I do buy those little packets for gravy and they are a life saver.
Enjoy having time with Hannah! My daughter leaves tomorrow and I sure am going to miss her.
Calculated crystals that have nothing to do with the page =
********
Record 1
The following is a DFT calculation (PBE) of crystalline CrSbMo2 at its relaxed geometry.

Properties
Formation energy (no corrections) (eV/atom): 0.30
Theoretical density (g cm⁻³): 9.34

Geometry as CIF:
```
data_CrSbMo2
_chemical_formula_sum 'Cr1 Sb1 Mo2'
_space_group_name_H-M_alt 'P 1'
_space_group_IT_number 1
_cell_length_a 3.397
_cell_length_b 4.377
_cell_length_c 4.371
_cell_angle_alpha 90.00
_cell_angle_beta 90.00
_cell_angle_gamma 90.00
loop_
_space_group_symop_operation_xyz
'x,y,z'
loop_
_atom_site_label
_atom_site_type_symbol
_atom_site_fract_x
_atom_site_fract_y
_atom_site_fract_z
Mo1 Mo 0.500 0.500 0.000
Mo2 Mo 0.000 0.000 0.000
Sb1 Sb 0.500 0.000 0.500
Cr1 Cr 0.000 0.500 0.500
```

---

Record 2
The following is a DFT calculation (PBE) of crystalline CaZrTa at its relaxed geometry.

Properties
Energy above the lowest structure with this stoichiometry (meV per atom): 52
Theoretical density (g cm⁻³): 6.92

Geometry as CIF:
```
data_CaZrTa
_chemical_formula_sum 'Ca1 Zr1 Ta1'
_space_group_name_H-M_alt 'P 1'
_space_group_IT_number 1
_cell_length_a 6.146
_cell_length_b 6.146
_cell_length_c 6.146
_cell_angle_alpha 150.26
_cell_angle_beta 139.12
_cell_angle_gamma 51.36
loop_
_space_group_symop_operation_xyz
'x,y,z'
********
oh my gosh! The same thing happened to me the other day with our thermostat! I like freaked out 🙂 The pancakes look fabulous. We had pancakes for dinner last night- so yummy. Fun lunch with Hannah! The tomato soup looks out of this world.
i think lemon and blueberry are a match made in food heaven!
Lower fat snack that I can’t have the regualr version of? I’m eating it RIGHT NOW! Yum!
Sorry about the heat. Stinky way to wake up! I’ve been using more tabasco sauce too.
I actually LOL’d at the battery story! You must have strict instructions not to wake up your husband, because I totally would have!
That is weird about the veggies, but maybe because the roast was frozen solid? Turned out ok though, it looked good
I would marry my crockpot if at all possible, but I still am sometimes vexed when veggies don’t come out correctly with the meat (mostly potato fails). Your finished product looked so good though – and I’m all about pantry staples from the dollar store! I even did a post about it a little while ago! (Although judging by the lack of reader response on that one, maybe I love my dollar store a little TOO much?).
Also, blueberry pancakes…..aaaauuuuuuugghhhhhh drooooooool….
Haha…I love the furnace story. That is precisely what I would do, too! Love it! It’s great you and Hannah have been able to hang out despite the difference in schedules. You guys are so cute 🙂 I think your Points sound right on, but then again everything seems SOOOO high in points compared to the old program. Still getting used to that…
I bet mine is battery operated, too. I better check when I get home…
I kind of like the idea of just cooking the roast, putting the veggies on top and then the gravy in a bowl.
That soup looks awesome!
Thanks for the PSA. My furnace has the digital as well so will have to check and see if it runs on batteries now!
Oh welcome to my world! We don’t have heat in our house and it is made of concrete. Some times it is warmer outside than in our house. We have one butane heater in the living room and a dehumidifier that blows out warm air. We use an electric blanket to help keep us warm at night. I hope you are keeping warm today.
That’s so funny that it was just the batteries! I would have steered clear too. It’s best not to mess with anything you don’t understand. Man, your soup and sandwich look so good. I’m ready for lunch now and it’s not even noon yet. Your pot roast looks so good! Glad it turned out.
I used to hate blueberries, even in pancakes and now I LOVE them!
I’m thinking your were probably right on with 12 points or at least very close 🙂
“Mac and cheese muffins??” Do tell!
I hate freezing like that! But I like that you were going to “check the furnace” even though you had no idea what that was all about! lol Sounds like me!
I think you did a great job with lunch. But you only ate 1/8th of your half? If that’s the case, I think you overestimated a tad…but not too worry, a few points here or there are no big deal. Great job!
There is nothing worse than getting out of bed when the room is cold and your bed is nice and warm.
At least Tony was able to figure out the problem. That sounds like something I would do.
I had blueberry pancakes this last week and hadn’t had them in forever. They were so good!
I don’t know, you were probably about right on the sandwich…even though no mayo…the bread, the cheese, the bacon, the avocado…all pretty high point makers there. Maybe a bit low on guessing on the soup. This is one thing I HATE about this new plan…limited resources to figure out accurate point values on foods eaten out. Personally, I think the resources WW provide suck big time. I have the dining out companion, which is ok at best. Do I really need to know what the point value is of EVERY friggin ice cream combo at Cold stone is? And now DWLZ is not as good of a resource as it used to be….so IDK….venting a bit here I guess. I was surprised at how high the points are for things at Panera…not because I found ANY info on WW, but because I searched there nut stats and calculated on my own. I think its all the bread and carbs.
Blueberries from Chile this time of year are wonderful!!!! so sweet and delish!
Mmm…I love tabasco.
Mmm, blueberries…what a treat. You do have a bizzy little kitchen going there. Love the food pics.
Good to know about the batteries, as I bet my thermostat is the same…and mine would have gone out during a week when Jeff was out of town…you probably saved a bunch of your bloggy friends from freezing in their homes! 🙂
Have a great day, Biz! Enjoy your swim 🙂
I’m with Helen – Tom’s sorry arse would have been kicked outta bed in a hurry! Last summer when we were in the midst of a bad heat (and humidity) wave, our air conditioning died. Totally. That wasn’t on the financial planner so we had to scramble and were without it for 3 full nights and days. The nights were AWFUL – I stayed sweaty and sticky and had to cool down with cold showers in the morning.
Thanks for the tip about the gravy – I never by stuff like that, but what a great way to perk up a roast. I’ve had that crock pot phenomenon where the veggies don’t cook much. Baffling – my new crock pot gets it all done just right.
Wow, your pictures look really great. Camera envy over here. I go on Amazon and dream of the camera I want, even sticking it in the cart for fun once in awhile. I need some tips on getting into the pool, a huge goal of mine this year. Though I think I will wait until the resolution crowd dies down at the gym.
Weight watchers used to have eating out guides, I wonder if they still do? While you might not find your particular restaurant, it might be helpful to see what another restaurant’s soup was, for example.
You are a good wife. As soon as I discovered the heat was not on, I would have immediately woken Mr. Helen. I’m a drama queen that way 😉
I did a double take when I saw the cafe name – I work in Egg Harbor Township and most of the county I live in is near the Greater Egg Harbor River
here is a link to the wiki page http://en.wikipedia.org/wiki/Egg_Harbor_Township,_New_Jersey
I just had to share!!
Have a great day, Biz!!
Gosh, yes. Do find out how useful stuff like that works. It is ALWAYS good to be in the know about stuff, even if you don’t think it is necessary because you live with a fix-it kind of person. Life changes, or maybe sometimes, they’re not available. 🙂
I remember after I’d had the electrics re-done in my house, and my ex was no longer living with me (he was the fix-it guy extraordinaire!), a fuse blew on Sunday morning, and I had no idea what to do. I was much too proud to call my ex (we weren’t on good terms then), so I ended up calling a 24 hour electrician… Oh dear, the upshot of all that was when the guy arrived, he just flicked ONE SWITCH, and everything was hunky dory again. 5 minutes after, he was on his way, considerably richer 🙁
Man, can you say EMBARRASSED? That was me, red as a beet for a week. From then on I resolved to pay attention to all stuff of that nature, EVEN if I wasn’t particularly interested, so at least I understood the why of something not working, so I wouldn’t have to outlay loads of cash to fix simple problems like that in future. Got to say, being that teeny bit more au fait with so-called MAN stuff, has given me oodles more confidence in tackling all sorts of stuff I might have left to others previously, and given me a glowing feeling of satisfaction whenever I deal with stuff like that competently and successfully. Hurrah, for independence and self-empowerment.
Your daughter s gorgeous Biz! What a lucky lady she is to have you as a mom 🙂
Yum, I love blueberry pancakes! Unfortunately, I’m the only one in the house who does. I guess I could make a batch just for me and freeze the leftovers! Speaking of leftovers, you have inspired me to use up my leftovers. So often, they were getting thrown away which is so wasteful. After reading your blog a while, I’ve been finding ways to use them in another dish. It’s working out very well 😀
Eating out is probably the hardest thing when counting points or calories. I think you just have to go with your gut and eat what makes you satisfied. Estimate the Points the best you can, just like you did! This time around I promised myself that I wouldn’t get too caught up with the counting when I have to eat out. I don’t want to go back to being afraid of eating out again! You are doing awesome and showing us all how we can eat out and still enjoy ourselves!
Funny about the heat. Glad it’s working now.
Tabasco is yum but I’ve been on a Frank’s kick lately. Go through a bottle pretty quickly.
Can’t wait to find out about the giveaway. My thinking cap isn’t working so good this morning so I’ll have to wait. 🙂
Have a wonderful day and stay warm!
I didn’t work out yesterday either! Rest days are FAB. 🙂
Hannah looks just like her mama – so cute!
You and your tabasco! LOVE!
I have never used packaged gravy before, but I think you are making me a believer. 🙂
Anything you put your seal of approval on is okay by me.
My guess is your soup points might have been a little low and your sandwich points might have been a tad high so it probably works out in the end!